2020's Surprise Blessing
/2020’s Surprise Blessing
The piece is interrupted by calculated molecules:
~~~
DFT (ωB97M-V/def2-TZVPD) results for a molecular structure, H8IMnO4 at a distorted geometry.

## Properties
* net charge: 0
* 2S+1: 7
* E_tot: -1754.42358 Ha

Each line ends with the Mulliken spin population.
Element x y z (Å)
H  32.54  3.05  21.97  0.21
Mn  30.36  1.67  20.50  6.45
O  31.98  0.46  19.63  -0.11
H  28.86  3.18  22.12  0.15
O  31.24  3.28  19.32  -0.20
H  32.07  -0.31  19.07  -0.01
H  31.79  3.30  18.53  0.03
H  32.86  0.83  19.67  0.06
H  28.81  3.75  20.72  0.06
H  31.51  2.47  22.90  0.26
H  31.51  4.06  19.81  0.10
I  28.72  0.96  18.20  0.07
O  28.98  2.94  21.20  -0.37
O  31.73  2.54  21.98  -0.71

=====

C3H5NO2 | ωB97M-V/def2-TZVPD

Properties
DFT total energy, hartree: -322.54011
Relative energy (zero: lowest compared OMol25 entry of this formula, charge and spin), kcal per mole: 21.48
Structure (SMILES): [H]/N=C(\C)OC=O
Net charge: 0
Lowest unoccupied orbital energy, eV: 0.854

Positions of all 11 atoms, in Å:
H1 -0.392 -2.083 0.671
N1 0.310 -1.347 0.704
C1 -0.164 -0.267 0.268
C2 -1.539 0.054 -0.240
O1 0.645 0.861 0.282
C3 1.921 0.778 -0.186
O2 2.321 0.013 -1.010
H2 -1.519 0.133 -1.333
H3 -1.879 1.014 0.158
H4 -2.247 -0.727 0.045
H5 2.515 1.569 0.292

Atom charges from the Löwdin analysis, given in e for atoms 1 to 4:
1. H 0.068
2. N 0.187
3. C -0.463
4. C -0.004

=====

No. 1
The following is a DFT calculation (ωB97M-V/def2-TZVPD) of a structure of composition C32H38BBr4N6O3RuS.

Geometry as XYZ:
```
86
Properties=species:S:1:pos:R:3:forces:R:3
Ru -0.065 -0.188 -0.033 0.0 0.1 0.2
C -2.308 0.719 3.679 0.0 0.0 0.0
C -0.832 0.318 3.593 -0.1 0.0 -0.1
C -0.165 0.378 4.967 0.0 0.0 0.0
C -0.682 -1.049 2.996 0.1 0.0 0.0
C -0.851 -2.265 3.669 0.0 0.0 0.0
C -0.548 -3.240 2.750 0.0 0.0 0.0
N -0.228 -2.652 1.594 0.1 0.1 -0.1
N -0.306 -1.302 1.734 -0.2 0.0 0.0
B 0.267 -3.283 0.282 0.0 0.0 0.0
N 1.605 -2.605 -0.077 -0.1 0.0 0.0
C 2.831 -3.123 -0.107 0.1 -0.1 0.0
C 3.745 -2.098 -0.235 0.0 -0.1 0.0
C 2.988 -0.927 -0.278 -0.1 0.0 0.0
N 1.685 -1.254 -0.203 0.0 0.0 0.1
C 3.506 0.476 -0.294 0.0 0.0 0.0
C 4.641 0.622 -1.308 0.0 0.0 0.0
C 3.969 0.872 1.112 0.0 0.0 0.0
N -0.780 -2.955 -0.792 0.1 0.0 0.0
C -1.514 -3.751 -1.569 0.0 0.0 0.0
C -2.406 -2.972 -2.277 0.0 -0.1 0.0
C -2.156 -1.660 -1.869 0.0 0.1 0.0
N -1.158 -1.671 -0.973 0.0 0.0 0.0
C -2.920 -0.432 -2.264 0.0 0.0 0.0
C -3.195 -0.421 -3.766 0.0 0.0 0.0
C -4.222 -0.367 -1.459 0.0 0.0 0.0
H -2.395 1.769 3.967 0.0 0.0 0.0
H -2.823 0.117 4.432 0.0 0.0 0.0
H -2.823 0.579 2.727 0.0 0.0 0.0
H -0.305 1.023 2.959 0.0 0.0 0.0
H -0.703 -0.241 5.689 0.0 0.0 0.0
H -0.161 1.407 5.326 0.0 0.0 0.0
H 0.871 0.044 4.919 0.0 0.0 0.0
H -1.144 -2.400 4.695 0.0 0.0 0.0
H -0.529 -4.314 2.835 0.0 0.0 0.0
H 0.408 -4.469 0.394 0.0 0.1 0.0
H 2.971 -4.188 -0.023 0.0 0.0 0.0
H 4.816 -2.181 -0.285 0.0 0.0 0.0
H 2.691 1.142 -0.566 0.0 0.0 -0.1
H 5.514 0.041 -1.001 0.0 0.0 0.0
H 4.942 1.667 -1.378 0.0 0.0 0.0
H 4.343 0.283 -2.301 0.0 0.0 0.0
H 4.744 0.185 1.464 0.0 0.0 0.0
H 3.143 0.868 1.822 0.0 0.0 0.0
~~~
The piece goes on:
I will remember 2020 as the year that a group of people came together to meditate every morning, and helped each other to get through this year of uncertainty and tremendous change.
I began 2020 excited for the greatest decade ever. As someone who loves to plan, I set my commitments for 2020 and the next decade. While they may have played out differently than I’d intended, there were many silver linings, also. 2020 reminded me of what I intellectually know be true - I can’t control all of the circumstances of my life, but I can control my thoughts and my perspective.
As I reflect on 2020, I will remember many lessons. I will remember that it was the year that didn’t turn out as I had planned. I will remember that it was the year that we were put in time out. I will remember the fear, pain, and outrage that we saw repeatedly when we turned on our televisions or refreshed our feed. I will remember it as the year I spent more time with family, friends, and neighbors. I will remember it as a year of deep reflection and introspection.
And, I will remember 2020 as the year that a group of people, many strangers to one another, came together to meditate every morning, and helped each other to get through this year of uncertainty and tremendous change.
2020 pushed me out of my comfort zone and accelerated growth in ways that I didn’t think I was ready for. Five days into lockdown, I recognized that 2020 was not going to be the year I had planned for, and I knew that I needed to focus on serving others. What started as a way for me to serve, to give back, to do SOMETHING - turned into one of the greatest blessings.
On March 17 I wrote in my journal that I could see that people were anxious, and that maybe I should offer a free meditation class in the mornings. I wasn’t sure if anyone would join, but I felt compelled to share the offer on social media, with my friends, my coaching clients, and with organizations that I was working with. On our first day, March 23, 7 people attended.
Although many of us were initially strangers to one another, we came to rely on each other for support, encouragement, and accountability. We celebrated birthdays, shared our needs and challenges, and developed genuine care and affection for each other.
We live in different communities, many of us have never met in person, would never have met otherwise, and yet feel connected. When someone missed practice, the group would notice. When members became ill or experienced loss, the group was concerned and supportive. When someone experienced joy, we celebrated with them.
[Next to the piece, the page also holds quantum chemistry results]
+++
Formula: C7H28N9O10
Source: the Open Molecules 2025 dataset
Level of theory: ωB97M-V with the def2-TZVPD basis set

Calculated values
- Electronic energy: -41596.701 eV
- E_LUMO: 1.89 eV
- Energy above the lowest of the compared OMol25 structures with the same formula, charge and spin: 124.6 kcal per mole
- HOMO energy: -0.184 Eh
- Charge: -1

CARTESIAN COORDINATES (ANGSTROEM)
N -4.5380 3.3182 -3.0897
H 3.4125 -0.0616 6.1830
H 0.7441 -1.7307 -5.3655
N -5.6112 2.2668 -1.5860
H -3.8407 2.6523 -2.7890
H -2.0416 -2.1972 6.3914
O 0.0421 -1.0662 -0.3727
H 2.7486 -2.9896 -5.8640
H -0.3782 4.3400 2.5591
C 1.7520 -3.1270 -6.2835
H 1.1096 -7.1017 -0.0636
H 1.2960 3.3255 -6.2779
O 1.7556 4.1012 -6.6075
H 1.9379 -3.2966 -7.3440
H 0.8812 5.9019 -7.0292
C -1.9937 4.4653 3.6963
N -3.8211 -2.4778 3.9824
C 0.8531 4.8820 -7.4127
H -0.1447 4.4496 -7.4873
C -3.5546 -2.6727 5.2365
O -4.2879 -3.2496 6.0494
H -2.4717 5.1758 4.3707
C 5.0564 1.0206 5.6487
N 1.7916 -6.3590 -0.0052
H -3.1334 -2.3639 3.2515
N 3.8251 -5.5695 0.0691
H 1.1743 4.9837 -8.4494
O 3.4184 -7.6827 -0.6415
H 1.5227 -5.4063 0.1952
H -4.7950 -2.7132 3.8544
H -1.7045 3.5622 4.2337
N -2.4282 -2.1286 5.4608
H -6.4625 2.2055 -1.0460
O 5.6406 1.0582 6.7110
O 0.6923 -2.1870 -6.2086
N 0.5462 0.0178 -0.5358
H -4.7673 1.7232 -1.4744
N 3.9413 0.4128 5.4650
O -6.5813 4.0105 -2.4864
H -2.0902 -1.5149 4.7334
H 4.6899 1.5283 3.8306
C 3.0679 -6.6349 -0.1955
H 4.8009 -5.7713 -0.0959
H 1.2597 -4.0587 -6.0049
H 6.3153 1.9311 4.4349
H -4.3055 4.2283 -3.4608
H -2.8097 4.2671 3.0014
O 1.2125 0.5330 0.3335
O -0.8903 5.0059 3.0236
N 5.4314 1.4485 4.5117
O 0.3379 0.6494 -1.5382
H 3.6073 0.3605 4.5133
C -5.6155 3.2410 -2.4019
H 3.4024 -4.7051 0.3761
+++
Eight months later, I am grateful to say that our group has expanded and we still meet daily. This group has been one of the greatest gifts of my life. A few weeks ago we had our group virtual holiday party. We had our cameras on, dressed up, had our family members join us, and shared how we each came to join this meditation group. We made plans for retreats and gatherings when we could safely travel and meet each other in person. We expressed how this group has helped us to get through this year of uncertainty and tremendous change.
Between two parts of the text: molecular data
Below is an isolated ion of composition C7H20BN4O2 and charge +1, with properties calculated with wB97M-V/def2-TZVPD.

The calculation puts the highest occupied orbital energy at -0.477 hartree. The SMILES is CCCON/C(NCN)=[NH+]/B(O)CC. The value obtained for the total energy is -672.85857 Eh.

```
! wB97M-V def2-TZVPD RIJCOSX def2/J DEFGRID3
* xyz 1 1
C -3.280 1.540 0.667
C -2.671 0.140 0.615
C -1.871 -0.174 1.865
O -0.955 -1.277 1.647
N 0.382 -0.893 1.730
C 0.955 -0.465 0.571
N 0.755 -1.128 -0.629
C 1.134 -2.590 -0.622
N 0.312 -3.515 0.074
N 1.811 0.521 0.560
B 2.561 0.928 -0.715
O 3.857 0.566 -0.798
C 1.924 1.770 -1.854
C 0.390 1.898 -1.871
H -2.521 2.294 0.455
H -4.041 1.639 -0.100
H -3.697 1.775 1.643
H -3.452 -0.603 0.470
H -2.009 0.080 -0.252
H -2.540 -0.507 2.656
H -1.340 0.710 2.223
H 0.582 -0.325 2.548
H -0.176 -0.980 -0.997
H 1.152 -2.868 -1.672
H 2.155 -2.650 -0.256
H 0.340 -3.431 1.077
H -0.636 -3.556 -0.266
H 1.990 1.020 1.423
H 4.236 0.239 0.020
H 2.378 2.762 -1.800
H 2.258 1.320 -2.789
H 0.084 2.788 -2.409
H -0.056 1.032 -2.357
H -0.013 1.936 -0.858
*
```


Below is C34H71Br4CaCl2KN2O9S as an isolated structure, with properties calculated with wB97M-V/def2-TZVPD.

The calculation puts the highest occupied orbital energy at -0.362 hartree. The value obtained for the total energy is -15015.81595 Eh.

```
! wB97M-V def2-TZVPD RIJCOSX def2/J DEFGRID3
* xyz 2 1
C -3.829 1.819 2.821
C -4.121 0.293 3.066
C -3.786 -0.219 4.507
C -2.430 0.308 5.065
C -1.212 -0.259 4.252
C 0.036 0.693 4.230
C 0.191 1.311 2.789
C 1.640 1.780 2.451
C 2.602 0.603 2.115
C 2.114 -0.308 0.934
N 2.714 0.069 -0.407
C 2.063 1.344 -0.861
C 2.343 1.725 -2.351
C 2.044 0.510 -3.295
C 2.997 -0.673 -2.839
C 2.608 -1.057 -1.381
C 1.206 -1.779 -1.402
C 1.374 -3.223 -0.795
C 0.029 -3.828 -0.233
Br 0.421 -4.389 1.645
H -2.941 1.887 2.145
H -3.575 2.377 3.744
H -4.693 2.285 2.302
H -3.525 -0.331 2.366
H -5.195 0.127 2.850
H -3.670 -1.327 4.423
H -4.602 -0.050 5.245
H -2.361 1.414 5.143
H -2.344 -0.066 6.113
H -1.573 -0.551 3.244
H -0.911 -1.204 4.761
H -0.201 1.550 4.904
H 0.960 0.216 4.611
H -0.455 2.222 2.772
H -0.255 0.615 2.048
H 2.040 2.274 3.371
H 1.584 2.580 1.679
H 2.837 -0.007 3.012
H 3.601 1.047 1.816
H 1.011 -0.336 0.885
H 2.429 -1.352 1.162
H 3.710 0.234 -0.226
H 2.511 2.158 -0.231
H 0.986 1.343 -0.587
H 1.723 2.636 -2.586
H 3.410 2.018 -2.518
H 0.966 0.260 -3.187
H 2.209 0.781 -4.356
H 2.895 -1.500 -3.562
H 4.026 -0.249 -2.920
H 3.349 -1.824 -1.051
H 0.937 -1.930 -2.470
H 0.379 -1.200 -0.946
H 1.682 -3.898 -1.629
H 2.190 -3.293 -0.048
H -0.813 -3.115 -0.252
H -0.180 -4.771 -0.767
O -5.476 -1.094 0.584
C -6.633 -1.147 0.894
O -7.380 -0.049 1.148
C -8.689 -0.445 1.592
C -8.874 -1.855 1.070
C -7.452 -2.397 1.097
H -8.714 -0.399 2.685
H -9.432 0.244 1.193
H -9.581 -2.441 1.655
H -9.234 -1.824 0.039
H -7.198 -2.833 2.066
H -7.275 -3.113 0.298
C -1.098 5.418 -4.928
S -0.783 3.947 -3.921
O 0.660 4.016 -3.517
C -0.913 2.772 -5.280
H -1.027 6.297 -4.284
When discussing our silver linings and greatest lesson that we’ll take forward in 2021 and beyond, our group chose GRATITUDE. While the pandemic may have brought us all together, it really was something bigger than that. And for that, I am forever grateful.
I reflect back on a journal entry from earlier this year that I wrote to myself:
“Our life is a series of moments strung together. Enjoy the moments in between, enjoy the silence, the quiet, the ebbs and flows, the chaos - all of it. Learn to flow with each wave. Don’t resist. Float. Breathe. Enjoy the sunshine on your face. Cuddle up and build a fire when it is dark and cold. But, don’t ever wish a single moment away. Don’t ever rush from moment to moment. Be present, be still, be focused, be you. After all, this is all we have.”
While I miss some things from before, I also treasure things from this period of time. I had predicted that 2020s would be the best decade ever, and I believe that now more than ever before. I believe that every single one of us has talents, gifts, experiences, thoughts, beliefs that are unique to us that we are meant to share. What we bring to each other, to our relationships, to our communities, is special. We have the ability to light up the world.